It seems election season is so contentious this year that people forget prisoners don’t get to vote. The two issues that we are constantly bombarded with are the presidential race and the selection of the latest Supreme Court justice. But just because we do not get to participate in these events does not mean we are uninformed, nor does it mean we do not have a stake in these outcomes.

Last week I was attending a church service. The pastor has been a volunteer here for many years. So much so, in fact, that he is perhaps the only non employee they are currently allowing admittance. Overall, I’ve formed a favorable opinion of this man.

(Next to the text, the page also holds records of crystals)
/*
# FeSb2WC8Se2O8F12

A relaxed FeSb2WC8Se2O8F12 crystal (PBE+U, Materials Project).

- Total magnetic moment: 0.00 μB/f.u.

Geometry as POSCAR:
```
FeSb2WC8Se2O8F12
1.0
12.485 0.000 0.000
0.000 12.238 0.000
0.000 0.712 15.410
Fe Sb W C Se O F
4 8 4 32 8 32 48
Direct
0.461 0.621 0.689
0.961 0.879 0.311
0.039 0.121 0.689
0.539 0.379 0.311
0.528 0.196 0.609
0.768 0.520 0.054
0.972 0.696 0.609
0.232 0.480 0.946
0.472 0.804 0.391
0.268 0.980 0.946
0.028 0.304 0.391
0.732 0.020 0.054
0.081 0.720 0.215
0.581 0.780 0.785
0.919 0.280 0.785
0.419 0.220 0.215
0.355 0.373 0.237
0.159 0.079 0.632
0.170 0.656 0.322
0.944 0.444 0.821
0.031 0.990 0.751
0.766 0.296 0.845
0.544 0.727 0.916
0.531 0.510 0.249
0.341 0.579 0.632
0.044 0.773 0.084
0.266 0.204 0.155
0.645 0.627 0.763
0.556 0.944 0.821
0.444 0.056 0.179
0.056 0.556 0.179
0.948 0.086 0.601
0.841 0.921 0.368
0.659 0.421 0.368
0.830 0.344 0.678
0.234 0.704 0.155
0.145 0.873 0.237
0.734 0.796 0.845
0.969 0.010 0.249
0.330 0.156 0.322
0.670 0.844 0.678
0.448 0.414 0.399
0.456 0.273 0.084
0.552 0.586 0.601
0.855 0.127 0.763
0.052 0.914 0.399
0.956 0.227 0.916
0.469 0.490 0.751
0.371 0.733 0.788
0.438 0.813 0.658
0.938 0.687 0.342
0.871 0.767 0.212
0.629 0.267 0.212
0.562 0.187 0.342
0.062 0.313 0.658
0.129 0.233 0.788
0.317 0.699 0.124
0.475 0.299 0.014
0.522 0.591 0.210
0.951 0.533 0.838
0.478 0.409 0.790
0.702 0.552 0.758
0.022 0.909 0.790
0.975 0.201 0.986
0.280 0.118 0.378
0.613 0.567 0.548
0.735 0.450 0.402
0.720 0.882 0.622
0.887 0.067 0.548
0.183 0.199 0.124
0.549 0.033 0.838
0.220 0.618 0.378
0.235 0.050 0.598
0.765 0.950 0.402
0.817 0.801 0.876
0.451 0.967 0.162
0.113 0.933 0.452
0.780 0.382 0.622
0.798 0.052 0.758
0.298 0.448 0.242
0.265 0.550 0.598
0.049 0.467 0.162
0.387 0.433 0.452
0.978 0.091 0.210
0.525 0.701 0.986
0.202 0.948 0.242
0.683 0.301 0.876
0.025 0.799 0.014
0.444 0.177 0.505
0.833 0.394 0.006
0.472 0.960 0.367
0.295 0.351 0.902
0.205 0.851 0.902
0.346 0.814 0.463
0.135 0.059 0.929
0.308 0.026 0.829
0.556 0.823 0.495
0.167 0.606 0.994
0.028 0.460 0.367
0.619 0.216 0.708
0.705 0.649 0.098
0.795 0.149 0.098
0.027 0.147 0.414
0.192 0.526 0.829
0.056 0.677 0.505
0.723 0.566 0.938
0.901 0.598 0.039
0.846 0.686 0.537
0.401 0.209 0.678
0.692 0.974 0.171
0.473 0.647 0.414
0.599 0.791 0.322
0.808 0.474 0.171
0.777 0.066 0.938
0.099 0.402 0.961
0.654 0.186 0.537
0.865 0.941 0.071
0.119 0.284 0.292
0.223 0.934 0.062
0.333 0.106 0.994
0.099 0.709 0.678
0.944 0.323 0.495
0.381 0.784 0.292
0.667 0.894 0.006
0.635 0.441 0.071
0.599 0.098 0.039
0.277 0.434 0.062
0.154 0.314 0.463
0.401 0.902 0.961
0.528 0.040 0.633
0.972 0.540 0.633
0.881 0.716 0.708
0.901 0.291 0.322
0.365 0.559 0.929
0.527 0.353 0.586
0.973 0.853 0.586
```

=====

# Sr2FeCO3F5

A relaxed Sr2FeCO3F5 crystal (PBE+U, Materials Project).

- Total magnetic moment: 5.00 μB/f.u.

Geometry as POSCAR:
```
Sr2FeCO3F5
1.0
8.948 0.000 0.000
0.000 5.612 0.000
0.000 3.691 13.434
Sr Fe C O F
8 4 4 12 20
Direct
0.891 0.691 0.097
0.360 0.692 0.086
*/

During the sermon, he told us how important this upcoming election is. He went on to describe how critical it is that someone who will appoint the right kind of judges (anti-abortion) is the winner. It didn’t take a huge amount of awareness to surmise he was advocating for the reelection of Trump.

Something about this did not set well with me. The more I thought about it, the more it bothered me. I could easily envision pastors across the country saying similar things to congregations of people who actually can and probably will cast a vote.

When I went to services this week, I had to ask. I had to know why many people who claim to be Christians would not only vote for, but even advocate on behalf of a man who could very well prove to be the Antichrist spoken of in biblical prophecy. It was an interesting conversation. The look on his face when I intimated that Trump might one day prove to be the Antichrist was priceless. But the answer to my question was far different than what I’d anticipated.

He began by assuring me that Trump is not the Antichrist. I conceded this point by indicating it was too soon to confirm that suspicion. He then went on to explain to me how horrible abortion is as a method of birth control. It was easy to agree with that sentiment as well. I was beginning to anticipate a real breakthrough where I might finally be brought to an understanding of why many people who claim to be Christians will seemingly vote for the devil himself if the guy assures them he is against abortion.

I was sadly disappointed as the conversation quickly devolved into his reciting the typical Fox news election talking points that can be viewed on that broadcast nearly any time of any day. Having read the Bible literally dozens of times (cover to cover), this was a big disappointment and perhaps somewhat disturbing as well. While the judges who conservatives typically appoint are basically required to oppose abortion, they often take many unchristian-like stands on other issues; as prisoners, we would be terribly uninformed if that didn’t scare us.

One thing conservative judges have often been known to do is validate convictions. This includes validating convictions of people sentenced to death, some of whom are later found to be innocent of the crime for which they were executed. Black men in prison in Texas and Alabama (and probably the other states of the former Confederacy as well) can tell you exactly what I’m talking about.

Data records that have nothing to do with the piece:
/*
No. 1
ScNiB4, optimized geometry, DFT GGA-PBE; DFT formation energy = -565.1 meV/atom; electronic total energy = -7.04 eV/atom; space group = Pbam, No. 55; calculated volume = 8.78 A^3/atom
1.0
3.247 0.000 0.000
0.000 5.785 0.000
0.000 0.000 11.221
B Sc Ni
16 4 4
direct
0.500 0.616 0.951 B
0.500 0.521 0.806 B
0.500 0.366 0.467 B
0.500 0.866 0.033 B
0.500 0.479 0.194 B
0.500 0.116 0.549 B
0.500 0.711 0.687 B
0.500 0.134 0.967 B
0.500 0.634 0.533 B
0.500 0.979 0.306 B
0.500 0.289 0.313 B
0.500 0.789 0.187 B
0.500 0.021 0.694 B
0.500 0.211 0.813 B
0.500 0.384 0.049 B
0.500 0.884 0.451 B
0.000 0.373 0.651 Sc
0.000 0.127 0.151 Sc
0.000 0.873 0.849 Sc
0.000 0.627 0.349 Sc
0.000 0.135 0.411 Ni
0.000 0.365 0.911 Ni
0.000 0.865 0.589 Ni
0.000 0.635 0.089 Ni



No. 2
Na6CaZr7P12O48, optimized geometry, DFT GGA-PBE; DFT formation energy = -3108.8 meV/atom; electronic total energy = -7.69 eV/atom; space group = P1, No. 1; calculated volume = 14.76 A^3/atom
1.0
-6.364 -2.432 16.638
7.137 -4.683 -2.802
14.165 16.886 7.904
Zr O P Na Ca
21 144 36 18 3
direct
0.998 0.001 0.146 Zr
0.333 0.333 0.483 Zr
0.666 0.666 0.518 Zr
0.334 0.332 0.981 Zr
0.500 0.998 0.855 Zr
0.501 0.999 0.146 Zr
0.999 0.998 0.644 Zr
0.333 0.334 0.186 Zr
0.498 0.998 0.354 Zr
0.169 0.666 0.817 Zr
0.666 0.673 0.316 Zr
0.666 0.666 0.019 Zr
0.167 0.667 0.020 Zr
0.499 0.998 0.644 Zr
0.834 0.335 0.482 Zr
0.166 0.667 0.518 Zr
0.999 0.998 0.855 Zr
0.001 0.003 0.355 Zr
0.670 0.666 0.817 Zr
0.833 0.333 0.983 Zr
0.170 0.666 0.315 Zr
0.099 0.173 0.091 O
0.155 0.845 0.969 O
0.755 0.655 0.571 O
0.733 0.367 0.140 O
0.595 0.016 0.303 O
0.926 0.321 0.250 O
0.821 0.139 0.424 O
0.511 0.196 0.910 O
0.451 0.367 0.640 O
0.673 0.855 0.572 O
0.654 0.463 0.468 O
0.087 0.970 0.197 O
0.423 0.310 0.532 O
0.931 0.358 0.924 O
0.253 0.864 0.076 O
0.087 0.977 0.910 O
0.345 0.530 0.242 O
0.915 0.020 0.087 O
0.322 0.139 0.424 O
0.516 0.826 0.699 O
0.931 0.505 0.423 O
0.757 0.641 0.864 O
0.415 0.810 0.587 O
0.255 0.655 0.571 O
0.232 0.154 0.532 O
0.257 0.872 0.363 O
0.815 0.101 0.136 O
0.991 0.813 0.088 O
0.072 0.653 0.072 O
0.180 0.487 0.364 O
0.230 0.300 0.750 O
0.086 0.701 0.758 O
0.402 0.826 0.910 O
0.435 0.511 0.136 O
0.926 0.530 0.751 O
0.151 0.834 0.257 O
0.572 0.491 0.572 O
0.577 0.692 0.469 O
0.014 0.205 0.198 O
0.846 0.152 0.029 O
0.595 0.020 0.588 O
0.180 0.875 0.862 O
0.769 0.847 0.469 O
0.913 0.807 0.303 O
0.729 0.161 0.250 O
0.679 0.875 0.862 O
0.747 0.357 0.423 O
0.017 0.826 0.699 O
0.087 0.197 0.410 O
0.063 0.642 0.361 O
0.321 0.505 0.924 O
0.732 0.155 0.532 O
0.993 0.807 0.804 O
0.564 0.641 0.364 O
0.846 0.540 0.529 O
0.654 0.844 0.968 O
0.012 0.197 0.910 O
0.269 0.692 0.970 O
0.072 0.491 0.572 O
0.923 0.537 0.031 O
0.845 0.535 0.249 O
0.731 0.308 0.031 O
0.673 0.489 0.072 O
0.315 0.530 0.637 O
0.487 0.802 0.090 O
0.515 0.205 0.197 O
0.063 0.484 0.862 O
0.990 0.170 0.588 O
0.769 0.691 0.970 O
0.086 0.205 0.698 O
0.346 0.155 0.030 O
0.398 0.822 0.196 O
0.755 0.855 0.071 O
0.915 0.810 0.587 O
0.414 0.024 0.091 O
*/
The data records stop here:

But on a less extreme level this same mindset often manifests itself. Almost 20 years ago there was a case called Blakely that speaks to this issue. As the war on crime ramped up, prosecutors continued to find ways to seek ever increasing sentences. The Blakely case ruled that they’d been going beyond the boundaries of the law.

So if the court decided that what had been taking place, for over a decade at that point, was unacceptable according to the law, the natural assumption would be that everyone who had been given an excessive sentence in this manner, would get some form of judicial relief from this ruling. People who made such assumptions had a lot to learn about the way conservative judges do business.

While the Blakely ruling helped curtail the use of these methods of seeking excessive sentences, it did nothing for those who had already suffered in this way. The only exception being those who were still under direct appeal for their convictions, a minuscule portion of those affected.

A Reagan appointee to the court, someone undoubtedly opposed to abortion, justified this outcome by suggesting that allowing this precedent to apply to everyone would be tantamount to ‘opening the floodgates’ because so many of these people had already served more than the appropriate amount of time for their convictions.

Many of these people eventually died in prison before completing their excessive sentence that the court had determined was inappropriate. Their families had to claim their remains and undoubtedly received a box filled with their loved one’s meager possessions. To a conservative judge, that is apparently an acceptable outcome.

Another thing the conservatives are counting on their appointees for is to help dismantle universal healthcare. Presumably the thought of higher taxes on the rich going to pay for the medical care of poor people is unacceptable. On one level, this makes sense, even to a stupid convict. Fewer poor people makes it easier to elect candidates who can be counted on to appoint this kind of judges. But where does the whole Christian dynamic fit into this narrative? Anyone who’s read the part of the Bible that deals with the teachings of Christ can tell you that it doesn’t.

Just like everyone else, prisoners are invested in the outcome at stake here. On the one hand we have reason to fear the guy who will likely appoint judges who can be counted on to keep us in cages, justified or not. On the other hand, we have the sponsor of several pieces of legislation that ushered in the era of mass incarceration. For us, this election was already lost the moment it was narrowed to these two choices.

– Tim